Contents
-- begin --
Version i
30
Properties=species:S:1:pos:R:3:mulliken_charge:R:1 method="wB97M-V/def2-TZVPD" e_lumo_ev=-0.19 orbital_gap_ev=10.886 homo_ev=-11.072 smiles=O.O.O.O.O.O.O.O.O.O total_charge=0
O 2.211 -3.508 1.343 -0.62
H -4.244 1.234 -2.999 0.32
H 4.951 1.250 0.917 0.32
H 1.830 4.259 -0.952 0.31
H -1.654 -1.387 4.029 0.31
H 1.511 -2.976 0.964 0.32
H 0.594 0.153 -0.218 0.32
H -0.454 -0.823 -0.710 0.34
H -2.419 -1.250 -3.250 0.33
H -5.689 1.170 -3.444 0.31
H -2.524 -6.214 -1.326 0.32
H -2.303 2.372 0.348 0.32
H 2.680 3.151 2.385 0.32
O 5.810 0.920 0.651 -0.63
H 3.223 4.020 3.498 0.31
H 6.384 1.685 0.689 0.32
O 0.023 -0.557 0.076 -0.67
H -0.932 -1.384 -3.500 0.32
H -0.376 -2.075 3.598 0.31
H -2.920 3.636 -0.212 0.32
O -1.048 -2.085 4.279 -0.63
H 0.669 3.288 -0.961 0.31
O 3.431 3.250 2.970 -0.63
O -2.441 2.848 -0.471 -0.64
O 1.456 3.522 -0.469 -0.61
O -4.820 0.823 -3.644 -0.63
O -1.657 -1.780 -3.017 -0.65
H 2.443 -3.056 2.154 0.31
H -1.958 -4.837 -1.599 0.31
O -1.776 -5.651 -1.129 -0.63

Version ii
30
Properties=species:S:1:pos:R:3:mulliken_charge:R:1 method="wB97M-V/def2-TZVPD" e_lumo_ev=-0.31 orbital_gap_ev=10.181 homo_ev=-10.486 smiles=O.O.O.O.O.O.O.O.O.O total_charge=0
H -2.782 -0.631 2.112 0.28
H 1.776 0.788 -2.948 0.31
O -0.552 1.942 -2.938 -0.61
H -0.448 4.348 0.040 0.30
H -0.703 0.373 0.472 0.24
H -2.050 -1.264 3.292 0.29
H -1.161 -0.804 -1.304 0.37
O 3.312 -1.814 -0.331 -0.64
H 0.495 -0.501 0.863 0.15
O 1.916 0.278 -2.144 -0.64
O 0.105 -0.019 0.119 -0.29
O -0.128 3.516 0.403 -0.61
H 3.105 -0.551 1.245 0.34
H -0.984 1.676 -2.114 0.29
O -1.793 -1.440 -1.669 -0.67
H 1.242 0.612 -1.534 0.30
H 3.889 -1.889 -1.097 0.30
O 2.440 -0.156 1.833 -0.63
O -2.399 1.648 -0.549 -0.62
O -1.981 -1.112 2.342 -0.60
H -1.381 -2.294 -1.502 0.29
H 2.511 -1.407 -0.691 0.36
H 0.689 -3.166 3.229 0.28
H -0.740 2.846 0.076 0.32
H -2.991 2.316 -0.181 0.27
H -2.947 0.857 -0.653 0.26
H 2.167 -0.878 2.415 0.31
H -0.209 -2.266 2.367 0.33
H -1.099 1.562 -3.633 0.32
O 0.702 -2.567 2.476 -0.58

The structure with the greatest stability is version ii.

Version i
30
Properties=species:S:1:pos:R:3:mulliken_charge:R:1 method="wB97M-V/def2-TZVPD" e_lumo_ev=-0.21 orbital_gap_ev=9.210 homo_ev=-9.422 smiles=O.O.O.O.O.O.O.O.O.O total_charge=0
H 1.898 1.208 2.884 0.29
H -4.898 -1.419 1.706 0.32
O 2.158 1.354 3.776 -0.60
O -2.427 1.362 0.809 -0.58
O -0.719 -0.927 -0.577 -0.58
O -5.199 -1.470 0.805 -0.63
O 4.148 -0.982 -1.263 -0.61
O 2.483 -2.952 0.270 -0.57
H 0.518 4.870 -0.369 0.29
H -1.317 0.465 -3.537 0.28
H -2.454 0.445 1.101 0.26
H 1.801 2.163 3.943 0.31
O 0.667 4.532 0.483 -0.60
H -1.491 -1.085 -0.086 0.28
H -3.238 1.866 1.142 0.30
H -4.666 -0.754 0.379 0.32
H -0.722 -3.051 -0.160 0.37
O 0.356 2.087 -2.062 -0.60
H 0.590 2.915 -2.561 0.27
H 4.795 -0.589 -0.690 0.32
H 2.240 -3.170 1.141 0.33
H 0.344 -4.073 -0.136 0.29
O -1.391 0.879 -2.600 -0.62
H -0.613 0.599 -2.085 0.37
H 4.396 -1.962 -1.212 0.28
H 1.217 1.709 -1.861 0.29
H 3.299 -3.254 0.057 0.27
H 1.375 3.777 0.414 0.31
O -0.456 -3.910 0.357 -0.65
H -0.050 -0.429 -0.065 0.31

Version ii
30
Properties=species:S:1:pos:R:3:mulliken_charge:R:1 method="wB97M-V/def2-TZVPD" e_lumo_ev=0.30 orbital_gap_ev=10.664 homo_ev=-10.367 smiles=O.O.O.O.O.O.O.O.O.O total_charge=0
H 0.670 -2.015 -0.799 0.41
H -2.089 -1.675 -0.350 0.41
H -0.907 1.502 1.198 0.29
H 3.971 -0.579 -1.266 0.33
H 3.150 0.701 -0.615 0.40
H -1.552 1.278 -1.598 0.45
H -2.868 0.228 -0.067 0.30
H -1.547 -0.602 2.817 0.21
H -0.062 0.764 -0.351 0.38
H 1.837 -1.252 -1.549 0.40
O 1.640 -1.999 -0.935 -0.62
H 3.096 1.789 1.236 0.32
O -1.083 -0.461 1.985 -0.58
O -0.309 2.282 0.974 -0.70
O -3.179 -0.644 0.098 -0.60
O 2.539 1.849 0.432 -0.68
H -1.032 2.911 0.552 0.38
O 3.200 0.088 -1.408 -0.69
H 1.709 2.257 0.613 0.27
H 1.587 -2.064 1.987 0.33
O -0.071 0.328 -1.254 -0.70
H 0.080 -0.577 -1.130 0.10
H -0.001 -0.372 2.147 0.38
O -2.336 1.895 -1.466 -0.67
H -2.457 2.224 -2.404 0.32
H 1.444 -1.084 0.884 0.46
H -1.613 -2.937 -1.254 0.27
O -1.283 -2.140 -0.683 -0.69
-- stop --

Request
Now duplicate the data further up with every line break kept.

Reply
Version i
30
Properties=species:S:1:pos:R:3:mulliken_charge:R:1 method="wB97M-V/def2-TZVPD" e_lumo_ev=-0.19 orbital_gap_ev=10.886 homo_ev=-11.072 smiles=O.O.O.O.O.O.O.O.O.O total_charge=0
O 2.211 -3.508 1.343 -0.62
H -4.244 1.234 -2.999 0.32
H 4.951 1.250 0.917 0.32
H 1.830 4.259 -0.952 0.31
H -1.654 -1.387 4.029 0.31
H 1.511 -2.976 0.964 0.32
H 0.594 0.153 -0.218 0.32
H -0.454 -0.823 -0.710 0.34
H -2.419 -1.250 -3.250 0.33
H -5.689 1.170 -3.444 0.31
H -2.524 -6.214 -1.326 0.32
H -2.303 2.372 0.348 0.32
H 2.680 3.151 2.385 0.32
O 5.810 0.920 0.651 -0.63
H 3.223 4.020 3.498 0.31
H 6.384 1.685 0.689 0.32
O 0.023 -0.557 0.076 -0.67
H -0.932 -1.384 -3.500 0.32
H -0.376 -2.075 3.598 0.31
H -2.920 3.636 -0.212 0.32
O -1.048 -2.085 4.279 -0.63
H 0.669 3.288 -0.961 0.31
O 3.431 3.250 2.970 -0.63
O -2.441 2.848 -0.471 -0.64
O 1.456 3.522 -0.469 -0.61
O -4.820 0.823 -3.644 -0.63
O -1.657 -1.780 -3.017 -0.65
H 2.443 -3.056 2.154 0.31
H -1.958 -4.837 -1.599 0.31
O -1.776 -5.651 -1.129 -0.63

Version ii
30
Properties=species:S:1:pos:R:3:mulliken_charge:R:1 method="wB97M-V/def2-TZVPD" e_lumo_ev=-0.31 orbital_gap_ev=10.181 homo_ev=-10.486 smiles=O.O.O.O.O.O.O.O.O.O total_charge=0
H -2.782 -0.631 2.112 0.28
H 1.776 0.788 -2.948 0.31
O -0.552 1.942 -2.938 -0.61
H -0.448 4.348 0.040 0.30
H -0.703 0.373 0.472 0.24
H -2.050 -1.264 3.292 0.29
H -1.161 -0.804 -1.304 0.37
O 3.312 -1.814 -0.331 -0.64
H 0.495 -0.501 0.863 0.15
O 1.916 0.278 -2.144 -0.64
O 0.105 -0.019 0.119 -0.29
O -0.128 3.516 0.403 -0.61
H 3.105 -0.551 1.245 0.34
H -0.984 1.676 -2.114 0.29
O -1.793 -1.440 -1.669 -0.67
H 1.242 0.612 -1.534 0.30
H 3.889 -1.889 -1.097 0.30
O 2.440 -0.156 1.833 -0.63
O -2.399 1.648 -0.549 -0.62
O -1.981 -1.112 2.342 -0.60
H -1.381 -2.294 -1.502 0.29
H 2.511 -1.407 -0.691 0.36
H 0.689 -3.166 3.229 0.28
H -0.740 2.846 0.076 0.32
H -2.991 2.316 -0.181 0.27
H -2.947 0.857 -0.653 0.26
H 2.167 -0.878 2.415 0.31
H -0.209 -2.266 2.367 0.33
H -1.099 1.562 -3.633 0.32
O 0.702 -2.567 2.476 -0.58

The structure with the greatest stability is version ii.

Version i
30
Properties=species:S:1:pos:R:3:mulliken_charge:R:1 method="wB97M-V/def2-TZVPD" e_lumo_ev=-0.21 orbital_gap_ev=9.210 homo_ev=-9.422 smiles=O.O.O.O.O.O.O.O.O.O total_charge=0
H 1.898 1.208 2.884 0.29
H -4.898 -1.419 1.706 0.32
O 2.158 1.354 3.776 -0.60
O -2.427 1.362 0.809 -0.58
O -0.719 -0.927 -0.577 -0.58
O -5.199 -1.470 0.805 -0.63
O 4.148 -0.982 -1.263 -0.61
O 2.483 -2.952 0.270 -0.57
H 0.518 4.870 -0.369 0.29
H -1.317 0.465 -3.537 0.28
H -2.454 0.445 1.101 0.26
H 1.801 2.163 3.943 0.31
O 0.667 4.532 0.483 -0.60
H -1.491 -1.085 -0.086 0.28
H -3.238 1.866 1.142 0.30
H -4.666 -0.754 0.379 0.32
H -0.722 -3.051 -0.160 0.37
O 0.356 2.087 -2.062 -0.60
H 0.590 2.915 -2.561 0.27
H 4.795 -0.589 -0.690 0.32
H 2.240 -3.170 1.141 0.33
H 0.344 -4.073 -0.136 0.29
O -1.391 0.879 -2.600 -0.62
H -0.613 0.599 -2.085 0.37
H 4.396 -1.962 -1.212 0.28
H 1.217 1.709 -1.861 0.29
H 3.299 -3.254 0.057 0.27
H 1.375 3.777 0.414 0.31
O -0.456 -3.910 0.357 -0.65
H -0.050 -0.429 -0.065 0.31

Version ii
30
Properties=species:S:1:pos:R:3:mulliken_charge:R:1 method="wB97M-V/def2-TZVPD" e_lumo_ev=0.30 orbital_gap_ev=10.664 homo_ev=-10.367 smiles=O.O.O.O.O.O.O.O.O.O total_charge=0
H 0.670 -2.015 -0.799 0.41
H -2.089 -1.675 -0.350 0.41
H -0.907 1.502 1.198 0.29
H 3.971 -0.579 -1.266 0.33
H 3.150 0.701 -0.615 0.40
H -1.552 1.278 -1.598 0.45
H -2.868 0.228 -0.067 0.30
H -1.547 -0.602 2.817 0.21
H -0.062 0.764 -0.351 0.38
H 1.837 -1.252 -1.549 0.40
O 1.640 -1.999 -0.935 -0.62
H 3.096 1.789 1.236 0.32
O -1.083 -0.461 1.985 -0.58
O -0.309 2.282 0.974 -0.70
O -3.179 -0.644 0.098 -0.60
O 2.539 1.849 0.432 -0.68
H -1.032 2.911 0.552 0.38
O 3.200 0.088 -1.408 -0.69
H 1.709 2.257 0.613 0.27
H 1.587 -2.064 1.987 0.33
O -0.071 0.328 -1.254 -0.70
H 0.080 -0.577 -1.130 0.10
H -0.001 -0.372 2.147 0.38
O -2.336 1.895 -1.466 -0.67
H -2.457 2.224 -2.404 0.32
H 1.444 -1.084 0.884 0.46
H -1.613 -2.937 -1.254 0.27
O -1.283 -2.140 -0.683 -0.69